Women are like lionesses at the gate of the home. . . . She guards that gate, and things matter to that family if they matter to her. . . . Sisters, you are each like the lioness at the gate. This means that there has to be some prioritizing. I was taught years ago that when our priorities are out of order, we lose power. If we need power and influence to carry out our mission, then our priorities have to be straight.

Saturday, July 7, 2007

On the move!

Shaelyn has started to crawl! It is still a slow moving process for her – she usually only moves her knees 5-6 times before sitting to take a break. That’s ok by me. We don’t quite yet have to chase her or worry about her getting into everything since we can generally stop her before she gets to anything dangerous. But it has started us baby-proofing the house. And babies can get into EVERYTHING! Just yesterday, Shaelyn started crawling toward the bottom drawer of the armoire in our room. I let her have free reign to see what would happen, and sure enough, she pulled it open and then peered over the top to see what was inside. As my parents say, she is busy, busy, busy!!

Here is her first real "crawling". Unfortunately the batteries in the camera died right as I was taking the video, so it cut off too early, but you can still see her moving her knees!

And because crawling looks like so much fun, Daddy decided to crawl along with her. We feel like she's a cat right now, with us dragging a toy in front of her and her crawling along to get it. Hey, sometimes the girl just needs a little motivation...

Of course, the best motivation is her beautiful face in the mirror. She's so vain! She loves looking at her reflection, and now that she can get close to the mirror on her own, it's even better:

Crawling does have it's rewards, like finding new things around the house to play with. Too cute! (Watch out mom and dad!)

• Molecular data, kept here for reference:
'''
A 2-piece molecular cluster, C4H8O overall. Source: the OMol25 dataset; level of theory: the ωB97M-V functional and the def2-TZVPD basis.

Results
- F_max (eV Å⁻¹) = 0.6
- charge = 0
- structure (SMILES) = CC=O.C=C
- E_HOMO (eV) = -9.76
- gap between HOMO and LUMO (eV) = 10.835
- energy (eV) = -6323.423

Each line ends with the Löwdin charge.
Cartesian coordinates (Å):
C1 0.02205 1.35522 -1.23576  -0.05
C2 -0.71281 0.82585 -0.03750  -0.38
O1 -0.57205 1.27676 1.07423  0.01
H1 -0.51862 2.27125 -1.49423  0.09
H2 1.04984 1.62587 -0.98268  0.09
H3 -0.00274 0.67669 -2.09360  0.08
H4 -1.46081 0.03512 -0.26071  0.11
C3 0.60660 -1.50062 0.23496  -0.11
C4 0.14613 -1.24438 1.45416  -0.09
H5 -0.01677 -1.96428 -0.52729  0.06
H6 1.60466 -1.19694 -0.07019  0.06
H7 0.73972 -0.71678 2.19604  0.07
H8 -0.88520 -1.44377 1.74258  0.07

---

C4H8O as an isolated structure in a non-equilibrium geometry. Source: the OMol25 dataset; level of theory: the ωB97M-V functional and the def2-TZVPD basis.

Results
- F_max (eV Å⁻¹) = 1.1
- charge = 0
- E_HOMO (spin up / spin down) (eV) = -9.18 / -9.18
- gap between HOMO and LUMO (spin up / spin down) (eV) = 9.200 / 9.197
- energy (eV) = -6321.678

Each line ends with the Löwdin charge.
Cartesian coordinates (Å):
C1 1.36002 1.22078 0.45602  -0.03
C2 -0.18880 -0.74135 -0.36447  -0.01
C3 -1.57762 -0.59507 -0.84811  -0.09
C4 0.55756 -0.02559 0.67247  -0.58
O1 -0.60757 -0.08869 1.36122  -0.07
H1 0.77481 2.00733 -0.02197  0.08
H2 1.73737 1.57070 1.41964  0.08
H3 2.21317 0.95746 -0.18279  0.08
H4 0.32735 -1.63879 -0.74676  0.13
H5 -2.13655 -1.40984 -0.36321  0.10
H6 -1.66860 -0.75523 -1.92667  0.08
H7 -2.00352 0.33804 -0.49519  0.08
H8 1.21239 -0.83977 1.03983  0.14

---

A 2-piece molecular cluster, C4H8O2 overall in a non-equilibrium geometry. Source: the OMol25 dataset; level of theory: the ωB97M-V functional and the def2-TZVPD basis.

Results
- F_max (eV Å⁻¹) = 3.5
- charge = -1
- spin multiplicity = 2
- E_HOMO (spin up / spin down) (eV) = 0.11 / -3.15
- gap between HOMO and LUMO (spin up / spin down) (eV) = 4.124 / 7.184
- energy (eV) = -8370.175

Each line ends with the Löwdin charge.
Cartesian coordinates (Å):
C1 -0.49558 1.06410 1.03867  -0.10
C2 -0.79413 0.19066 0.00510  -0.47
O1 -0.83863 -1.20329 0.28422  -0.07
C3 -0.76468 0.44074 -1.43704  -0.24
C4 -0.30332 -0.62653 -2.17103  -0.13
H1 -0.36962 0.88218 2.09199  0.01
H2 -0.61551 2.05286 0.61627  0.01
H3 -0.48902 -1.30744 1.17723  0.06
H4 -0.77017 1.50782 -1.66376  0.07
H5 -0.50576 -1.65281 -1.89664  0.00
H6 0.03314 -0.58545 -3.21981  -0.01
H7 1.25660 0.07634 1.59686  0.00
H8 2.74534 -0.20423 1.65093  0.02
O2 1.91134 -0.63494 1.92700  -0.16

---

An isolated ion of composition C4H8O2 and charge -2 in a non-equilibrium geometry. Source: the OMol25 dataset; level of theory: the ωB97M-V functional and the def2-TZVPD basis.

Results
- F_max (eV Å⁻¹) = 6.0
- charge = -2
- structure (SMILES) = [O-]CCCC[O-]
- E_HOMO (eV) = 0.99
- gap between HOMO and LUMO (eV) = 6.521
'''

Even since putting this blog together, she has already become so much better at crawling. Today she actually did follow me into the kitchen. And now she's onto a new feat -- trying to stand. She's been pulling up on things for a while, but today she started the new thing of trying to stand in the middle of the room. She gets on her hands and knees, then up on her feet and straightens her legs all the way. She just can't take her arms off the floor. It's amazing to watch. Michael says she's going to ask for the keys to the car tomorrow. She's growing up too fast!!!

And now, just for your enjoyment, the final video. Since she's been eating solid foods, one of her new favorite things to do is "chew". It makes her look like she's trying to talk. We love it!